ruby call method with array arguments
<<<
1.
The following is a computed X-ray powder pattern of LaMgAl. It was derived from DFT lattice parameters and positions (GGA-PBE), using λ = 1.5418 Å (Cu Kα).

Structure:
```
LaMgAl
1.0
5.5655 -2.2156 0.0000
5.5655 2.2156 0.0000
-2.3133 0.0000 6.8381
La Mg Al
2 2 2
direct
0.0000 0.0000 0.0000
0.6966 0.6966 0.4511
0.2400 0.2400 0.8150
0.3580 0.3580 0.2445
0.4506 0.4506 0.6605
0.9991 0.9991 0.4902
```

Peak list (12 most intense, 2θ = 10–90°, sorted by position)
17.6°, d 5.026, rel. 90
23.9°, d 3.716, rel. 69
24.4°, d 3.648, rel. 43
26.1°, d 3.419, rel. 47
26.8°, d 3.330, rel. 100
31.8°, d 2.811, rel. 32
32.0°, d 2.799, rel. 70
32.5°, d 2.754, rel. 84
36.4°, d 2.470, rel. 77
37.6°, d 2.390, rel. 33
40.7°, d 2.216, rel. 38
48.1°, d 1.893, rel. 32

***

2.
The following is a computed X-ray powder pattern of HgSb2F2. It was derived from DFT lattice parameters and positions (GGA-PBE), using λ = 1.5418 Å (Cu Kα).

Structure:
```
HgSb2F2
1.0
8.3857 0.0000 0.0000
0.0000 8.3857 0.0000
0.0000 0.0000 3.0031
Hg Sb F
2 4 4
direct
0.0000 0.0000 0.0000
0.5000 0.5000 0.0000
0.2158 0.2842 0.0000
0.2842 0.7842 0.0000
0.7158 0.2158 0.0000
0.7842 0.7158 0.0000
0.1314 0.6314 0.5000
0.3686 0.1314 0.5000
0.6314 0.8686 0.5000
0.8686 0.3686 0.5000
```

Peak list (12 most intense, 2θ = 10–90°, sorted by position)
14.9°, d 5.930, rel. 90
29.8°, d 3.003, rel. 52
30.1°, d 2.965, rel. 100
33.4°, d 2.679, rel. 41
33.8°, d 2.652, rel. 59
38.4°, d 2.344, rel. 21
42.9°, d 2.110, rel. 77
43.2°, d 2.096, rel. 24
45.6°, d 1.988, rel. 36
53.3°, d 1.719, rel. 39
70.3°, d 1.340, rel. 18
72.9°, d 1.297, rel. 23

***

3.
The following is a computed X-ray powder pattern of LiNp2O8. It was derived from DFT lattice parameters and positions (GGA-PBE), using λ = 1.5418 Å (Cu Kα).

Structure:
```
LiNp2O8
1.0
4.1898 0.0000 0.0000
0.0986 6.3641 0.0000
2.0538 2.7672 7.6192
Li Np O
1 2 8
direct
0.0000 0.0000 0.0000
0.1018 0.6799 0.7844
0.8982 0.3201 0.2156
0.0234 0.3278 0.9582
0.1119 0.9855 0.7505
0.1890 0.5585 0.6126
0.3972 0.3170 0.2178
0.6028 0.6830 0.7822
0.8110 0.4415 0.3874
0.8881 0.0145 0.2495
0.9766 0.6722 0.0418
```

Peak list (12 most intense, 2θ = 10–90°, sorted by position)
11.6°, d 7.619, rel. 12
14.8°, d 5.982, rel. 24
15.4°, d 5.755, rel. 100
21.8°, d 4.077, rel. 35
21.9°, d 4.051, rel. 36
22.1°, d 4.028, rel. 31
23.4°, d 3.810, rel. 34
25.3°, d 3.522, rel. 22
25.6°, d 3.474, rel. 20
33.3°, d 2.692, rel. 16
35.8°, d 2.508, rel. 13
43.2°, d 2.095, rel. 15

***

4.
The following is a computed X-ray powder pattern of PH5Se2. It was derived from DFT lattice parameters and positions (GGA-PBE), using λ = 1.5418 Å (Cu Kα).

Structure:
```
PH5Se2
1.0
4.7431 0.0000 0.0000
-2.1174 4.6258 0.0000
-0.5450 -1.7563 5.6774
P H Se
1 5 2
direct
0.0000 0.0000 0.0000
0.3299 0.1270 0.0915
0.4310 0.5816 0.4876
0.8631 0.0648 0.1998
0.8716 0.6817 0.8851
0.9331 0.1402 0.8291
0.2417 0.7540 0.4521
0.6879 0.2583 0.5366
```

Peak list (12 most intense, 2θ = 10–90°, sorted by position)
15.6°, d 5.677, rel. 100
>>>

Between two parts of the piece: materials data
-- begin --
[1]
Structure and computed powder diffractogram of Th6Si2SnSe3 (the PBE geometry in Alexandria; Cu Kα (λ = 1.5418 Å)).

Most intense lines, 2θ = 10–90°, most intense first:
Position (°2θ)	I/Imax
29.4	100
25.3	26
41.7	25
42.5	25
52.0	14
41.9	13
25.2	12
25.8	12
61.0	12
42.3	12

```
Th6Si2SnSe3
1.0
9.2989 -2.1585 0.0000
9.2989 2.1585 0.0000
-1.7523 0.0000 8.3745
Th Si Sn Se
6 2 1 3
Direct
0.0063 0.0063 0.2642 Th
0.3282 0.3282 0.8989 Th
0.3297 0.3297 0.4245 Th
0.6703 0.6703 0.5755 Th
0.6718 0.6718 0.1011 Th
0.9937 0.9937 0.7358 Th
0.1679 0.1679 0.3355 Si
0.8321 0.8321 0.6645 Si
0.5000 0.5000 0.0000 Sn
0.1622 0.1622 0.8340 Se
0.5000 0.5000 0.5000 Se
0.8378 0.8378 0.1660 Se
```

=====

[2]
Structure and computed powder diffractogram of Tb2CeZn (the PBE geometry in Alexandria; Cu Kα (λ = 1.5418 Å)).

Most intense lines, 2θ = 10–90°, most intense first:
Position (°2θ)	I/Imax
32.8	100
37.7	34
64.9	28
55.2	23
38.8	16
66.5	13
54.3	12
68.8	12
89.6	6
80.5	4

```
Tb2CeZn
1.0
4.7746 0.0000 0.0000
0.0000 4.7746 0.0000
0.0000 0.0000 4.6418
Tb Ce Zn
2 1 1
Direct
0.0000 0.5000 0.0000 Tb
0.5000 0.0000 0.0000 Tb
0.0000 0.0000 0.5000 Ce
0.5000 0.5000 0.5000 Zn
```

=====

# 1
# CePr2PuSb4
Computed XRD peak list, Cu Kα (λ = 1.5418 Å). Input: the GGA-PBE geometry in Alexandria.
Kinematic intensities with the Lorentz-polarization factor, no thermal factor.

The 6 most intense peaks (2θ = 10–80°), in order of falling intensity:
d (Å)	I_rel
3.190	100
2.256	77
1.427	24
1.843	21
1.303	15
1.595	13

Cell and atoms:
a = 7.806 Å, b = 4.512 Å, c = 7.823 Å
α = 90.00°, β = 109.47°, γ = 90.00°
Fractional coordinates of all 8 atoms:
Ce 0.000 0.000 0.000
Pr 0.000 0.500 0.500
Pr 0.500 0.000 0.500
Pu 0.500 0.500 0.000
Sb 0.248 0.500 0.243
Sb 0.254 0.000 0.759
Sb 0.746 0.000 0.241
Sb 0.752 0.500 0.757

***

# 2
# U4AgS8
Computed XRD peak list, Cu Kα (λ = 1.5418 Å). Input: the GGA-PBE geometry in Alexandria.
Kinematic intensities with the Lorentz-polarization factor, no thermal factor.

The 6 most intense peaks (2θ = 10–80°), in order of falling intensity:
d (Å)	I_rel
6.309	100
3.455	84
3.037	59
2.336	50
3.020	40
1.995	39

Cell and atoms:
a = 7.466 Å, b = 7.466 Å, c = 9.311 Å
α = 124.54°, β = 124.54°, γ = 64.64°
Fractional coordinates of all 13 atoms:
U 0.248 0.752 0.000
U 0.262 0.262 0.498
U 0.738 0.738 0.502
U 0.752 0.248 0.000
Ag 0.000 0.000 0.500
S 0.181 0.709 0.663
S 0.194 0.194 0.157
S 0.291 0.819 0.337
S 0.304 0.304 0.824
S 0.696 0.696 0.176
S 0.709 0.181 0.663
S 0.806 0.806 0.843
S 0.819 0.291 0.337

***

# 3
# TbZn6Ag2
Computed XRD peak list, Cu Kα (λ = 1.5418 Å). Input: the GGA-PBE geometry in Alexandria.
Kinematic intensities with the Lorentz-polarization factor, no thermal factor.

The 6 most intense peaks (2θ = 10–80°), in order of falling intensity:
d (Å)	I_rel
2.494	100
2.265	70
2.070	67
2.883	65
1.366	33
1.818	27

Cell and atoms:
a = 7.494 Å, b = 7.494 Å, c = 7.494 Å
α = 151.93°, β = 123.24°, γ = 64.50°
Fractional coordinates of all 9 atoms:
Tb 0.000 0.000 0.000
-- stop --
Here the piece continues
Ruby’s Powerful Method Arguments & How To Use Them Correctly Calling methods | Ruby for Beginners Ruby ruby This method used to get the number of elements inside the array. arguments And The resulting array has 3 string elements. A good culprit might be the usage of rb_iterate method in the C extension: rb_iterate API has been deprecated and changed since Ruby 1.9, in favor of rb_block_call.In fact this new … A Rubyist's Walk Along the C-side (Part 3): Calling Methods methods, the original array will be modified.. Otherwise, at this point, I might prefer Method #2. the method length on Strings knows the length of their String just so (because it knows its String). Array#collect () : collect () is an Array class method which invokes the argument block once for each element of the array. void method_name (int [] array); This means method_name will accept an array parameter of type int. Defining & Calling the method: In Ruby, the method defines with the help of def keyword followed by method_name and end with end keyword. Covering Method Names, Return Values, Scope, Overriding, Arguments, Default Values, Array Decomposition, Array/Hash Argument, Keyword Arguments, Block … ARGV - the command line arguments of a Ruby program Ruby sets … We can access the elements of this array, just as any other array: ARGV [0] is going to be the first value after the name of the script. Ruby Array.each method: Here, we are going to learn about the Array.each method in Ruby programming language which is used to iterate over the loop. Not only can you use splats when defining methods, but you can also use them when calling methods. Block as the third parameter: 10. Passing Arguments to a Method: 2. Some more code would be very helpful. def print_args(arg1,ar2) puts arg1 puts arg2 end . Here, the method takes a range as an argument to create an array of digits − Command-Line Arguments in Ruby And then later we’ve enclosed the value 3 in parentheses when calling the method: add_two(3). Sorting an Array. Sending elements of an array as arguments to a method call ruby - Passing an array's elements as arguments to a method Method objects are created by Object#method, and are associated with a particular object (not just with a class). The syntax to call dropLast() method on the array is where N is an integer, and represents the number of … In Ruby, a method provides functionality to an Object. I'd like to call the method with arr1 and arr2 as arguments to that method but I keep getting hung up in that *bar is being interpreted as an array instead of individual arguments.
[Next to the text, the page also holds data records]
<<<
The following is a calculated XRD peak list of PrSbSe3. It was derived from a DFT-relaxed cell (GGA-PBE, Alexandria), using Cu Kα.

The 10 most intense peaks (2θ from 10° to 90°), in order of rising 2θ:
2θ 16.77, I 462, (0 4 0); 2θ 24.60, I 410, (1 1 1); 2θ 27.38, I 698, (1 3 1); 2θ 29.43, I 311, (0 4 2); 2θ 32.29, I 1000, (1 5 1); 2θ 35.14, I 569, (0 6 2); 2θ 38.60, I 447, (1 7 1); 2θ 42.59, I 706, (1 1 3); 2θ 42.78, I 325, (2 0 0); 2θ 56.51, I 293, (2 6 2)

Cell and atoms:
abc: 4.2280 21.1415 7.4143
angles: 90.00 90.00 90.00
Space group Ama2 (No. 40)
Unique sites:
Pr  0.2500  0.1659  0.0000
Sb  0.2500  0.3480  0.0070
Se  0.2500  0.0886  0.3456
Se  0.2500  0.2504  0.6712
Se  0.2500  0.4091  0.3222


(1)
Calculated powder XRD pattern of K2UF6 for a wavelength of 1.5418 Å, from the PBE geometry in the Materials Project.

Atomic structure:
a = 6.6643 Å, b = 6.6643 Å, c = 3.7458 Å
α = 90.00°, β = 90.00°, γ = 120.00°
Fractional coordinates of all 9 atoms:
K: 0.3333 0.6667 0.0000
K: 0.6667 0.3333 0.0000
U: 0.0000 0.0000 0.5000
F: 0.0000 0.3410 0.5000
F: 0.0000 0.7743 0.0000
F: 0.2257 0.2257 0.0000
F: 0.3410 0.0000 0.5000
F: 0.6590 0.6590 0.5000
F: 0.7743 0.0000 0.0000

Top 6 peaks for 5 to 70 degrees two-theta, by angle:
Position (°2θ)	I_rel
15.35	100.0
26.75	45.2
28.41	62.9
39.42	38.3
47.25	18.0
48.28	44.2

***

(2)
Calculated powder XRD pattern of ZrSnIr for a wavelength of 1.5418 Å, from the PBE geometry in the Materials Project.

Atomic structure:
a = 7.3759 Å, b = 7.3759 Å, c = 3.7499 Å
α = 90.00°, β = 90.00°, γ = 120.00°
Fractional coordinates of all 9 atoms:
Zr: 0.0000 0.6049 0.0000
Zr: 0.3951 0.3951 0.0000
Zr: 0.6049 0.0000 0.0000
Sn: 0.0000 0.2670 0.5000
Sn: 0.2670 0.0000 0.5000
Sn: 0.7330 0.7330 0.5000
Ir: 0.0000 0.0000 0.0000
Ir: 0.3333 0.6667 0.5000
Ir: 0.6667 0.3333 0.5000

Top 6 peaks for 5 to 70 degrees two-theta, by angle:
Position (°2θ)	I_rel
34.10	77.9
36.97	100.0
42.45	73.7
44.64	64.8
66.44	39.5
68.78	41.9

***

(3)
Calculated powder XRD pattern of In2AsP for a wavelength of 1.5418 Å, from the PBE geometry in the Materials Project.

Atomic structure:
a = 4.3048 Å, b = 4.3048 Å, c = 6.0649 Å
α = 90.00°, β = 90.00°, γ = 90.00°
Fractional coordinates of all 4 atoms:
In: 0.0000 0.5000 0.2421
In: 0.5000 0.0000 0.7579
As: 0.0000 0.0000 0.5000
P: 0.5000 0.5000 0.0000

Top 6 peaks for 5 to 70 degrees two-theta, by angle:
Position (°2θ)	I_rel
25.37	100.0
29.34	8.1
42.03	67.1
49.69	30.9
49.83	15.0
67.14	12.0

***

(4)
Calculated powder XRD pattern of Ga3B for a wavelength of 1.5418 Å, from the PBE geometry in the Materials Project.

Atomic structure:
a = 7.0633 Å, b = 7.0633 Å, c = 3.1654 Å
α = 90.00°, β = 90.00°, γ = 120.00°
Fractional coordinates of all 8 atoms:
Ga: 0.1956 0.3912 0.2500
Ga: 0.1956 0.8044 0.2500
Ga: 0.3912 0.1956 0.7500
Ga: 0.6088 0.8044 0.2500
Ga: 0.8044 0.1956 0.7500
Ga: 0.8044 0.6088 0.7500
B: 0.3333 0.6667 0.7500
B: 0.6667 0.3333 0.2500

Top 6 peaks for 5 to 70 degrees two-theta, by angle:
Position (°2θ)	I_rel
>>>

Pierre Dorian Et Sa Femme, Articles R